== Entries ==
+++
Record 1
The following is a quantum chemistry calculation of C46H48N3OPTl as an isolated structure, from the OMol25 dataset.

Structure (XYZ):
```
100
Properties=species:S:1:pos:R:3:forces:R:3
Tl -1.35034 0.37283 -0.36463 11.7 1.6 -5.4
N 0.83485 2.47054 1.87854 0.4 0.4 -0.2
N -1.02975 2.68428 -1.31790 1.1 1.5 0.6
C -3.00509 -0.87105 -0.49039 -4.4 -2.5 1.5
C -3.30280 0.26982 0.35871 -3.8 -1.9 1.8
C -2.38421 0.24801 1.46704 -2.6 -1.4 3.3
C -2.35070 1.20603 2.62380 0.0 0.0 0.2
H -2.99234 2.08306 2.43782 0.2 -0.3 0.0
H -1.32507 1.56852 2.81314 -0.4 -0.1 -0.1
H -2.72564 0.70883 3.53852 0.2 0.2 -0.3
C -1.49975 -0.86871 1.30527 -1.3 -2.2 2.8
C -0.40983 -1.26623 2.25940 -0.6 -0.3 0.3
H -0.80499 -1.90369 3.07459 0.0 0.2 -0.2
H 0.05200 -0.37533 2.71522 -0.8 -0.7 -0.5
H 0.38560 -1.83135 1.74642 -0.8 0.2 0.3
C -1.90298 -1.57581 0.09906 -1.1 -2.8 1.0
C -1.31276 -2.86527 -0.39812 0.1 -0.2 0.0
H -0.23092 -2.92223 -0.19502 -0.3 0.1 0.0
H -1.45646 -2.97794 -1.48538 0.1 0.0 0.4
H -1.79583 -3.72916 0.09724 0.2 0.3 -0.2
C -4.42338 1.24941 0.15557 -0.1 0.1 0.0
H -5.31744 0.96761 0.74483 0.4 0.1 -0.2
H -4.72391 1.28891 -0.90380 0.1 0.0 0.3
H -4.13258 2.26908 0.46094 -0.1 -0.3 -0.1
C -3.79052 -1.30626 -1.69395 -0.1 0.0 -0.1
H -3.15951 -1.85399 -2.41185 -0.2 0.2 0.2
H -4.22486 -0.44757 -2.22956 0.2 -0.3 0.1
H -4.62284 -1.97518 -1.39853 0.3 0.3 -0.1
C 2.08091 2.54847 2.36430 0.1 0.3 -0.6
H 2.17174 2.51250 3.45942 0.0 0.1 -0.5
C 3.22634 2.67632 1.56646 -0.3 0.8 -0.2
H 4.21995 2.74107 2.02085 -0.5 0.0 -0.3
C 3.04949 2.71834 0.17476 -0.5 0.1 0.2
H 3.91153 2.81536 -0.49460 -0.3 -0.1 0.3
C 1.75990 2.62804 -0.35013 0.2 0.2 0.2
H 1.59231 2.63711 -1.43152 0.0 0.0 0.4
C 0.66162 2.49988 0.53356 0.1 0.5 0.2
C -0.72881 2.32677 0.07257 2.0 4.9 1.2
H -1.44611 2.79828 0.75975 0.3 0.0 -0.1
C -1.60483 1.58148 -1.84955 -1.4 2.9 -5.1
C -1.02926 3.76377 -2.19530 -0.4 -0.9 0.2
H -0.59992 4.73554 -1.95860 -0.2 -0.4 -0.1
C -1.64123 3.30372 -3.33319 0.1 0.3 0.3
H -1.84433 3.78985 -4.28527 0.2 -0.1 0.4
N -2.00088 1.95922 -3.10780 -0.7 -0.1 -2.4
C -2.73668 1.13988 -4.02868 0.5 0.7 0.6
C -4.07750 1.47623 -4.31680 -0.1 -0.5 -0.4
C -4.79554 0.63769 -5.18637 0.3 0.0 0.1
H -5.84224 0.87952 -5.40587 0.3 -0.1 0.1
C -4.21691 -0.50530 -5.76275 0.2 0.3 0.3
C -5.00235 -1.38151 -6.71213 0.0 -0.1 -0.2
H -4.76722 -2.44898 -6.56084 -0.1 0.4 0.0
H -4.75854 -1.13835 -7.76378 -0.1 -0.1 0.4
H -6.08863 -1.24316 -6.58227 0.4 -0.1 0.0
C -2.87929 -0.80278 -5.44979 0.0 0.2 0.2
H -2.40997 -1.69222 -5.88721 -0.2 0.3 0.1
C -2.11637 0.00175 -4.58763 -0.6 -0.3 -0.3
C -0.69591 -0.37043 -4.24446 0.1 0.1 -0.1
H -0.04906 0.51849 -4.16094 -0.3 -0.3 0.0
H -0.27517 -1.04894 -5.00398 -0.2 0.2 0.3
H -0.65602 -0.87607 -3.26406 0.1 0.2 -0.2
C -4.74071 2.68479 -3.69627 0.0 0.1 0.1
H -4.48685 3.61218 -4.24225 0.0 -0.3 0.2
H -4.41862 2.82927 -2.65207 -0.1 -0.1 -0.4
H -5.83734 2.57700 -3.71682 0.4 0.0 0.0
O 1.09078 -0.00204 0.57395 3.9 -1.6 2.5
P 2.33816 -0.46213 1.69224 -0.6 1.4 -1.5
C 2.02454 -0.75249 3.64664 0.2 -0.1 0.7
C 2.67696 -1.80060 4.34359 -0.7 0.7 0.3
C 2.50666 -1.99061 5.72585 -0.2 0.5 -0.4
C 1.71245 -1.12551 6.47137 0.2 -0.3 0.0
C 1.11241 -0.04345 5.84998 0.3 -0.1 -0.5
C 1.28250 0.15628 4.48082 0.4 -1.0 -0.6
C 2.76334 -2.14617 0.97907 -0.3 0.3 1.0
C 2.46788 -3.36293 1.63198 0.3 -0.1 -0.7
C 2.88158 -4.58203 1.09368 0.0 0.5 -0.2
C 3.57739 -4.61253 -0.11305 0.0 0.2 0.0
C 3.82732 -3.42419 -0.79903 -0.3 0.1 0.5
C 3.40870 -2.20441 -0.26442 0.2 -0.4 0.1
C 4.14134 0.15672 2.05636 -0.6 -1.7 1.1
C 5.23310 0.07819 1.16727 0.7 0.6 0.7
C 6.52804 0.46303 1.56755 -0.9 0.2 0.4
C 6.77071 0.94900 2.85541 0.8 0.0 -0.7
C 5.72832 1.05619 3.74944 -1.0 -0.2 -0.2
C 4.44980 0.66576 3.36855 0.7 0.2 -0.4
H 3.34610 -2.47515 3.84247 0.1 -0.1 -0.3
H 3.00357 -2.81116 6.22443 0.1 -0.1 -0.1
H 1.57967 -1.27727 7.53620 0.0 -0.1 0.0
H 0.51220 0.64937 6.42772 0.0 0.1 -0.1
H 0.78558 1.02135 4.07931 -0.1 0.1 -0.5
H 1.91803 -3.39732 2.55656 -0.1 0.2 0.1
H 2.66665 -5.50417 1.61893 0.0 0.0 0.0
H 3.90967 -5.55635 -0.52276 0.0 -0.1 0.0
+++

== Brief ==
It remains to echo the data earlier on verbatim.

== Reply ==
Record 1
The following is a quantum chemistry calculation of C46H48N3OPTl as an isolated structure, from the OMol25 dataset.

Structure (XYZ):
```
100
Properties=species:S:1:pos:R:3:forces:R:3
Tl -1.35034 0.37283 -0.36463 11.7 1.6 -5.4
N 0.83485 2.47054 1.87854 0.4 0.4 -0.2
N -1.02975 2.68428 -1.31790 1.1 1.5 0.6
C -3.00509 -0.87105 -0.49039 -4.4 -2.5 1.5
C -3.30280 0.26982 0.35871 -3.8 -1.9 1.8
C -2.38421 0.24801 1.46704 -2.6 -1.4 3.3
C -2.35070 1.20603 2.62380 0.0 0.0 0.2
H -2.99234 2.08306 2.43782 0.2 -0.3 0.0
H -1.32507 1.56852 2.81314 -0.4 -0.1 -0.1
H -2.72564 0.70883 3.53852 0.2 0.2 -0.3
C -1.49975 -0.86871 1.30527 -1.3 -2.2 2.8
C -0.40983 -1.26623 2.25940 -0.6 -0.3 0.3
H -0.80499 -1.90369 3.07459 0.0 0.2 -0.2
H 0.05200 -0.37533 2.71522 -0.8 -0.7 -0.5
H 0.38560 -1.83135 1.74642 -0.8 0.2 0.3
C -1.90298 -1.57581 0.09906 -1.1 -2.8 1.0
C -1.31276 -2.86527 -0.39812 0.1 -0.2 0.0
H -0.23092 -2.92223 -0.19502 -0.3 0.1 0.0
H -1.45646 -2.97794 -1.48538 0.1 0.0 0.4
H -1.79583 -3.72916 0.09724 0.2 0.3 -0.2
C -4.42338 1.24941 0.15557 -0.1 0.1 0.0
H -5.31744 0.96761 0.74483 0.4 0.1 -0.2
H -4.72391 1.28891 -0.90380 0.1 0.0 0.3
H -4.13258 2.26908 0.46094 -0.1 -0.3 -0.1
C -3.79052 -1.30626 -1.69395 -0.1 0.0 -0.1
H -3.15951 -1.85399 -2.41185 -0.2 0.2 0.2
H -4.22486 -0.44757 -2.22956 0.2 -0.3 0.1
H -4.62284 -1.97518 -1.39853 0.3 0.3 -0.1
C 2.08091 2.54847 2.36430 0.1 0.3 -0.6
H 2.17174 2.51250 3.45942 0.0 0.1 -0.5
C 3.22634 2.67632 1.56646 -0.3 0.8 -0.2
H 4.21995 2.74107 2.02085 -0.5 0.0 -0.3
C 3.04949 2.71834 0.17476 -0.5 0.1 0.2
H 3.91153 2.81536 -0.49460 -0.3 -0.1 0.3
C 1.75990 2.62804 -0.35013 0.2 0.2 0.2
H 1.59231 2.63711 -1.43152 0.0 0.0 0.4
C 0.66162 2.49988 0.53356 0.1 0.5 0.2
C -0.72881 2.32677 0.07257 2.0 4.9 1.2
H -1.44611 2.79828 0.75975 0.3 0.0 -0.1
C -1.60483 1.58148 -1.84955 -1.4 2.9 -5.1
C -1.02926 3.76377 -2.19530 -0.4 -0.9 0.2
H -0.59992 4.73554 -1.95860 -0.2 -0.4 -0.1
C -1.64123 3.30372 -3.33319 0.1 0.3 0.3
H -1.84433 3.78985 -4.28527 0.2 -0.1 0.4
N -2.00088 1.95922 -3.10780 -0.7 -0.1 -2.4
C -2.73668 1.13988 -4.02868 0.5 0.7 0.6
C -4.07750 1.47623 -4.31680 -0.1 -0.5 -0.4
C -4.79554 0.63769 -5.18637 0.3 0.0 0.1
H -5.84224 0.87952 -5.40587 0.3 -0.1 0.1
C -4.21691 -0.50530 -5.76275 0.2 0.3 0.3
C -5.00235 -1.38151 -6.71213 0.0 -0.1 -0.2
H -4.76722 -2.44898 -6.56084 -0.1 0.4 0.0
H -4.75854 -1.13835 -7.76378 -0.1 -0.1 0.4
H -6.08863 -1.24316 -6.58227 0.4 -0.1 0.0
C -2.87929 -0.80278 -5.44979 0.0 0.2 0.2
H -2.40997 -1.69222 -5.88721 -0.2 0.3 0.1
C -2.11637 0.00175 -4.58763 -0.6 -0.3 -0.3
C -0.69591 -0.37043 -4.24446 0.1 0.1 -0.1
H -0.04906 0.51849 -4.16094 -0.3 -0.3 0.0
H -0.27517 -1.04894 -5.00398 -0.2 0.2 0.3
H -0.65602 -0.87607 -3.26406 0.1 0.2 -0.2
C -4.74071 2.68479 -3.69627 0.0 0.1 0.1
H -4.48685 3.61218 -4.24225 0.0 -0.3 0.2
H -4.41862 2.82927 -2.65207 -0.1 -0.1 -0.4
H -5.83734 2.57700 -3.71682 0.4 0.0 0.0
O 1.09078 -0.00204 0.57395 3.9 -1.6 2.5
P 2.33816 -0.46213 1.69224 -0.6 1.4 -1.5
C 2.02454 -0.75249 3.64664 0.2 -0.1 0.7
C 2.67696 -1.80060 4.34359 -0.7 0.7 0.3
C 2.50666 -1.99061 5.72585 -0.2 0.5 -0.4
C 1.71245 -1.12551 6.47137 0.2 -0.3 0.0
C 1.11241 -0.04345 5.84998 0.3 -0.1 -0.5
C 1.28250 0.15628 4.48082 0.4 -1.0 -0.6
C 2.76334 -2.14617 0.97907 -0.3 0.3 1.0
C 2.46788 -3.36293 1.63198 0.3 -0.1 -0.7
C 2.88158 -4.58203 1.09368 0.0 0.5 -0.2
C 3.57739 -4.61253 -0.11305 0.0 0.2 0.0
C 3.82732 -3.42419 -0.79903 -0.3 0.1 0.5
C 3.40870 -2.20441 -0.26442 0.2 -0.4 0.1
C 4.14134 0.15672 2.05636 -0.6 -1.7 1.1
C 5.23310 0.07819 1.16727 0.7 0.6 0.7
C 6.52804 0.46303 1.56755 -0.9 0.2 0.4
C 6.77071 0.94900 2.85541 0.8 0.0 -0.7
C 5.72832 1.05619 3.74944 -1.0 -0.2 -0.2
C 4.44980 0.66576 3.36855 0.7 0.2 -0.4
H 3.34610 -2.47515 3.84247 0.1 -0.1 -0.3
H 3.00357 -2.81116 6.22443 0.1 -0.1 -0.1
H 1.57967 -1.27727 7.53620 0.0 -0.1 0.0
H 0.51220 0.64937 6.42772 0.0 0.1 -0.1
H 0.78558 1.02135 4.07931 -0.1 0.1 -0.5
H 1.91803 -3.39732 2.55656 -0.1 0.2 0.1
H 2.66665 -5.50417 1.61893 0.0 0.0 0.0
H 3.90967 -5.55635 -0.52276 0.0 -0.1 0.0